Better Health Start for Life Home Learning Environment 2025

### Inserted here: data records
1.
Entry from Alexandria via LeMat-Bulk: a relaxed structure of CaLaEuAl (GGA-PBE).

The magnetization is 29.6 μB per cell. Its formation energy from the elements is -58 meV/atom. The total energy is -5.2948 eV/atom.

It has space group F-43m (No. 216), with a = 7.9683 Å, b = 7.9683 Å, c = 7.9683 Å, α = 90.00°, β = 90.00° and γ = 90.00°. The inequivalent atoms are Ca at (0.0000, 0.0000, 0.0000), La at (0.2500, 0.2500, 0.7500), Eu at (0.2500, 0.2500, 0.2500) and Al at (0.0000, 0.0000, 0.5000).

=====

2.
Entry from Alexandria via LeMat-Bulk: a relaxed structure of YBr (GGA-PBE).

The magnetization is 0.0 μB per cell. For the formation energy (no corrections), the calculation gives -0.772 eV per atom. The total energy is -4.8402 eV/atom.

It has space group P4/nmm (No. 129, origin choice 2), with a = 4.6068 Å, b = 4.6068 Å, c = 6.1133 Å, α = 90.00°, β = 90.00° and γ = 90.00°. The inequivalent atoms are Y at (0.2500, 0.2500, 0.1895) and Br at (0.2500, 0.7500, 0.5000).

=====

3.
Entry from Alexandria via LeMat-Bulk: a relaxed structure of TcRhAu (GGA-PBE).

The magnetization is 0.0 μB per cell. Its formation energy from the elements is 80 meV/atom. The total energy is -6.9184 eV/atom.

It has space group I4mm (No. 107), with a = 2.8046 Å, b = 2.8046 Å, c = 11.8781 Å, α = 90.00°, β = 90.00° and γ = 90.00°. The inequivalent atoms are Tc at (0.0000, 0.0000, 0.0000), Rh at (0.0000, 0.0000, 0.3585) and Au at (0.0000, 0.0000, 0.6765).

=====

4.
Entry from Alexandria via LeMat-Bulk: a relaxed structure of Li2Ce3Se6 (GGA-PBE).

The magnetization is 4.3 μB per cell. For the formation energy (no corrections), the calculation gives -1.457 eV per atom. The total energy is -5.3237 eV/atom.

It has space group I4/mmm (No. 139), with a = 4.7859 Å, b = 4.7859 Å, c = 23.0048 Å, α = 90.00°, β = 90.00° and γ = 90.00°. The inequivalent atoms are Li at (0.0000, 0.0000, 0.0998), Ce at (0.0000, 0.0000, 0.3315), Ce at (0.0000, 0.0000, 0.5000), Se at (0.0000, 0.0000, 0.2071) and Se at (0.0000, 0.5000, 0.0799).

=====

Number 3 is which compound?
TcRhAu

=====

What did the third record say?
Entry from Alexandria via LeMat-Bulk: a relaxed structure of TcRhAu (GGA-PBE).

The magnetization is 0.0 μB per cell. Its formation energy from the elements is 80 meV/atom. The total energy is -6.9184 eV/atom.

It has space group I4mm (No. 107), with a = 2.8046 Å, b = 2.8046 Å, c = 11.8781 Å, α = 90.00°, β = 90.00° and γ = 90.00°. The inequivalent atoms are Tc at (0.0000, 0.0000, 0.0000), Rh at (0.0000, 0.0000, 0.3585) and Au at (0.0000, 0.0000, 0.6765).
The Department for Education and Department for Health and Social Care's Start for Life ‘Little Moments Together’ campaign aims to educate parents and carers about the importance of brain development in the first five years of a child’s life, and the crucial role they play. A suite of digital resources are available for partners to download and support their work, as well as tips and advice on the Start for Life website.
Campaign details
Related website
Start for Life early learning and development
Target audience: Healthcare professionals, Parents and children, Parents-to-be
Topics: Childhood health, Early years, Maternity
Campaign start date: Mid-January 2025
Campaign end date: Always On
In mid-January (exact date TBC) the Department for Education (DfE), in partnership with the Department for Health and Social Care (DHSC) will re-launch its Start for Life ‘Little Moments Together’ campaign. The campaign aims to educate parents about the importance of brain development in the first five years of a child’s life, and the crucial role they play, with advice and tips from Start for Life.
Between two parts of the piece: data records >
=====
1.
# Ba2Cd2I

A relaxed structure of Ba2Cd2I (PBE-GGA, the Alexandria database).

Crystal system: tetragonal
Electronic total energy: -1.83 eV per atom
Raw formation energy: -0.390 eV per atom

Cell lengths 6.6562, 6.6562, 10.0292 Å; angles 90.00, 90.00, 90.00 degrees
With the nearest neighbours (Å) after each atom.
Space group I4/mmm (No. 139)
Symmetry-distinct sites (fractional):
Ba (0.0000, 0.5000, 0.2500) [4 per cell]  4 Cd 3.52
Cd (0.0000, 0.0000, 0.1369) [4 per cell]  1 Cd 2.75
I (0.0000, 0.0000, 0.5000) [2 per cell]  2 Cd 3.64

***

2.
# Ba2Cd2I

A relaxed structure of Ba2Cd2I (PBE-GGA, the Alexandria database).

Crystal system: tetragonal
Electronic total energy: -1.98 eV per atom
Raw formation energy: -0.535 eV per atom

Cell lengths 9.5046, 9.5046, 4.4960 Å; angles 90.00, 90.00, 90.00 degrees
With the nearest neighbours (Å) after each atom.
Space group P4/mbm (No. 127)
Symmetry-distinct sites (fractional):
Ba (0.1820, 0.3180, 0.0000) [4 per cell]  6 Cd 3.58-3.64
Cd (0.1103, 0.6103, 0.5000) [4 per cell]  1 Cd 2.97
I (0.0000, 0.0000, 0.5000) [2 per cell]  4 Cd 3.85, 8 Ba 4.14

***

3.
# Ba2Cd2I

A relaxed structure of Ba2Cd2I (PBE-GGA, the Alexandria database).

Crystal system: monoclinic
Electronic total energy: -2.22 eV per atom
Raw formation energy: -0.775 eV per atom

Cell lengths 8.6948, 5.0330, 9.7539 Å; angles 90.00, 107.26, 90.00 degrees
With the nearest neighbours (Å) after each atom.
Space group C2/m (No. 12)
Symmetry-distinct sites (fractional):
Ba (0.0794, 0.0000, 0.2386) [4 per cell]  6 Cd 3.64-3.67, 3 I 3.79
Cd (0.1673, 0.5000, 0.0014) [4 per cell]  3 Cd 2.90
I (0.0000, 0.5000, 0.5000) [2 per cell]  6 Ba 3.79

***

4.
# Ba2CdI

A relaxed structure of Ba2CdI (PBE-GGA, the Alexandria database).

Crystal system: tetragonal
Electronic total energy: -2.17 eV per atom
Raw formation energy: -0.597 eV per atom

Cell lengths 9.2064, 9.2064, 9.4247 Å; angles 90.00, 90.00, 90.00 degrees
With the nearest neighbours (Å) after each atom.
Space group I-42d (No. 122)
Symmetry-distinct sites (fractional):
Ba (0.2429, 0.2500, 0.1250) [8 per cell]  2 Cd 3.42, 2 I 3.51
Cd (0.0000, 0.0000, 0.0000) [4 per cell]  4 Ba 3.42
I (0.0000, 0.0000, 0.5000) [4 per cell]  4 Ba 3.51

***

5.
# Ba2CdI

A relaxed structure of Ba2CdI (PBE-GGA, the Alexandria database).

Crystal system: cubic
Electronic total energy: -2.20 eV per atom
Raw formation energy: -0.620 eV per atom

Cell lengths 8.7411, 8.7411, 8.7411 Å; angles 90.00, 90.00, 90.00 degrees
With the nearest neighbours (Å) after each atom.
Space group Fm-3m (No. 225)
Symmetry-distinct sites (fractional):
Ba (0.2500, 0.2500, 0.2500) [8 per cell]  4 I 3.78, 4 Cd 3.78
Cd (0.0000, 0.0000, 0.0000) [4 per cell]  8 Ba 3.78
I (0.0000, 0.0000, 0.5000) [4 per cell]  8 Ba 3.78

***

6.
# BaCd2I

A relaxed structure of BaCd2I (PBE-GGA, the Alexandria database).

Crystal system: cubic
Electronic total energy: -1.66 eV per atom
Raw formation energy: -0.330 eV per atom
=====
Many disadvantaged children in the UK start school developmentally months behind their peers, particularly in speech and language ability. This gap often widens over time, with children who have poor vocabulary skills at age five being less likely to succeed academically. They are also up to twice as likely to be unemployed in their thirties.
By focusing on behaviours that can easily be integrated into their busy daily routines, the campaign aims to illustrate a ‘way of being’ to parents, showing them that sharing simple, child-led ‘serve and return’ moments together throughout the day has a big impact.
By directing parents to the Start for Life website, they will find simple ideas from other parents on how to build these little moments into each day. It includes lots of examples of tips and activities for parents to do with children at different ages. It also signposts parents to the relevant in-person support available in their local communities.
Campaign resources also feature a film that explains how children’s brains develop during the early years, and the crucial role parents play through all the little moments they spend together with their child. Watch it here.
Family Hubs
For partners in areas with Family Hubs, we have created a range of resources with a specific Family Hub call to action, encouraging parents and carers to use the Start for Life website to find their local Family Hub. On the Start for Life website, users can find a link to the GOV.UK website to find out if there's a family hub in their area
Start for Life Email Programme
We know that what happens during the first few years of life (starting in the womb) has lifelong effects on many aspects of health and wellbeing – from obesity, heart disease and mental wellbeing, to educational achievement and economic status. We also know that parental behaviours impact heavily on their child’s behaviours. Parents’ health can act as an enabler or barrier to nurturing their children’s development.
Research shows that becoming a parent presents an opportunity to provide information to support behaviour change, and that when looking for information and advice people want validated sources of authority, such as the NHS. This puts the Start for Life Email Programme in a unique position within a very crowded market of pregnancy and parenting advice.
........
DFT (PBE-GGA) results for crystalline Ni2Sn2Te at its relaxed geometry.

Properties
The calculation puts the calculated total energy at -4.393 eV/atom. The crystal system is tetragonal. Its formation energy (no corrections) is 0.149 eV/atom. The calculation puts the excess energy over the best structure of this formula in the dataset at 12.8 kJ per mole of atoms.

Lattice parameters (Å, degrees): 4.2020 4.2020 11.4631 90.00 90.00 90.00
Space group I4/mmm (No. 139)
Symmetry-distinct sites (fractional):
Ni 0.0000 0.0000 0.1082
Sn 0.0000 0.5000 0.2500
Te 0.0000 0.0000 0.5000
........
**The records of crystals stop here:**
The Start for Life Email Programme is a universal offering, for all parents-to-be and parents of children up to four and a half years old. The service provides regular emails to the audience as their child reaches key milestones.
The Start for Life Email Programme has a particular focus on those from less socioeconomically privileged backgrounds, as we know that they are much less likely to be searching for and accessing reliable information on pregnancy and parenting. Healthcare professionals are also a target audience as they are a key channel for driving people to Start for Life services.
The email programme can be translated in to dozens of different languages, provides personalised messaging that is time sensitive and served to parents and carers as and when they need it, according to their parenting/caring journey. Encourage parents and carers to sign up now.
Published: 8 January 2024